Next, restate only the lines underneath with the word "method" in them.
┌──
119
Properties=species:S:1:pos:R:3 method="wB97M-V/def2-TZVPD" e_homo_ev="-4.53 / -4.45" charge=-1 e_above_lowest_kj_mol=131.56 total_energy_ha=-5840.2142 homo_lumo_gap_ev="5.229 / 5.790"
Bi -0.5555 0.2788 0.8532
I -3.0191 0.7481 2.6359
I -5.4097 1.1256 4.7001
Sb 1.2294 2.5742 3.7911
S -0.1084 3.6789 1.8858
S 1.1897 0.2860 2.6744
S 0.9093 5.3708 1.8190
S -0.2437 2.4260 5.4716
P -3.0463 2.4560 -0.9602
P -3.6544 -0.4290 -1.3852
Si 2.1831 0.1965 -1.4681
O -3.8088 1.1712 -1.5777
O 2.4421 1.4547 -2.4891
O -2.6844 -0.8624 -0.3668
O -0.8477 -3.3780 1.1686
O 2.5767 -1.1591 -2.3321
O 3.1835 0.3574 -0.1962
O -1.7118 2.1063 -0.4298
O 0.6691 0.1207 -0.9792
N -3.3205 -0.8632 -2.9497
N -4.1561 3.0488 0.0726
N -2.8549 3.5274 -2.1873
N -5.1540 -0.9978 -1.0667
N -0.6730 -2.2736 2.9972
N -0.6269 -2.3362 1.7021
C -3.1140 -2.3053 -3.1080
C 1.7883 -4.0025 2.6421
C -1.1201 -1.5900 7.8513
C 1.0612 1.1675 -4.4336
C -1.3482 -0.7141 6.8005
C -3.7379 4.1834 0.8937
C 4.9366 0.4708 1.3775
C 4.1308 -2.6390 -1.2265
C -0.2741 -2.2539 5.3050
C -0.4555 -2.7931 7.6358
C 1.5127 -3.0841 3.6536
C 2.4123 1.6349 -3.8979
C 3.1009 -4.3593 2.3750
C 3.5504 0.8695 -4.5708
C -5.4982 -1.4639 0.2761
C -6.2842 -0.6977 -1.9236
C 4.3749 1.0837 0.0976
C 4.0064 2.5444 0.3356
C -0.9294 -1.0433 5.5200
C 2.5568 -2.5363 4.3975
C 3.8666 -2.8879 4.1163
C 0.1364 -2.6005 3.9207
C 1.6730 -2.8500 -0.8278
C -0.0193 -3.1227 6.3627
C 2.6247 -3.3880 -3.0826
C 2.5790 3.1339 -4.1286
C -5.4605 2.5092 0.3991
C 2.7482 -2.4948 -1.8530
C -3.9350 4.3592 -2.6735
C 5.3815 0.9578 -1.0405
C 4.1391 -3.7996 3.1052
C -2.2619 -0.1012 -3.6212
C -1.5348 3.8338 -2.7280
H -6.9421 0.0506 -1.4681
H -6.0514 -2.4042 0.2041
H 4.9013 3.1454 0.5172
H -4.5961 -1.6189 0.8600
H 4.2758 -3.6608 -0.8655
H 5.1636 -4.0704 2.8819
H -4.1219 4.1834 -3.7380
H -3.1422 -2.5492 -4.1710
H -2.1505 -2.6223 -2.6942
H 2.7600 -4.4397 -2.8203
H -1.0815 -0.3546 4.6988
H -4.8531 4.1498 -2.1260
H 4.5165 1.2843 -4.2757
H -5.9410 -0.3226 -2.8866
H -5.6702 1.6255 -0.1994
H 3.5259 3.4701 -3.7030
H 4.1611 0.4717 2.1426
H 1.7717 3.6788 -3.6358
H -1.2756 -0.3438 -3.2100
H -1.8531 0.2303 6.9615
H -6.8733 -1.6025 -2.0981
H 3.3802 -3.1118 -3.8207
H 0.2619 1.7237 -3.9391
H -2.6867 4.4180 0.7197
H -3.6914 5.4181 -2.5397
H 3.4812 2.9518 -0.5297
H 3.5214 -0.1807 -4.2893
H 2.5686 3.3716 -5.1949
H -3.8378 3.9240 1.9499
H -0.2771 -3.4719 8.4606
H -0.7808 3.2329 -2.2261
H 3.4655 0.9486 -5.6582
H 1.6383 -3.2638 -3.5336
H 4.9079 -2.4162 -1.9617
H 0.9787 -4.4461 2.0791
H 1.7960 -2.2542 0.0798
H -6.2407 3.2548 0.2068
H 4.2375 -1.9547 -0.3846
H -3.9092 -2.8559 -2.6064
H 5.6476 -0.0893 -1.2057
H -1.3014 4.8898 -2.5633
H -1.5028 3.6334 -3.8044
H 0.9872 1.3276 -5.5124
H 5.7974 1.0432 1.7331
H 2.3394 -1.8086 5.1680
H 0.9185 0.1039 -4.2298
H 0.5049 -4.0547 6.1854
H 3.3106 -5.0754 1.5904
H 4.6739 -2.4405 4.6812
H 6.2918 1.5113 -0.7970
H -2.2733 -0.3459 -4.6842
H 0.6770 -2.6586 -1.2275
H -1.4548 -1.3322 8.8489
H 1.7508 -3.9059 -0.5515
H 3.3537 2.6283 1.2039
H -5.4968 2.2280 1.4554
H -4.3482 5.0653 0.6727
H -6.1212 -0.7307 0.7969
H 5.2546 -0.5603 1.2033
H 4.9700 1.3638 -1.9642
H -2.4311 0.9692 -3.5190

***

105
Properties=species:S:1:pos:R:3 method="wB97M-V/def2-TZVPD" e_homo_ev=-8.96 charge=+1 total_energy_ha=-4517.4169 homo_lumo_gap_ev=5.371
Br -4.7602 1.6494 5.0228
O -2.3111 -2.8700 -2.6995
O 7.9460 0.1984 1.5274
O -2.9254 -0.6846 -2.0759
O 6.7732 -1.5252 2.4369
O 5.9163 0.4746 2.5124
N -3.1124 -4.1543 2.9038
N -0.3138 -5.2641 2.5585
N -0.7619 5.2656 -6.4297
N -2.8203 -1.7167 3.4800
N -1.0986 -2.8951 2.2336
C -4.5871 -2.3783 1.6623
C -3.0065 -1.9207 4.9495
C -3.0518 -1.3499 -4.5743
C -4.3281 -3.9177 2.0497
C -2.8606 -0.4965 5.7112
C 0.9379 4.4856 -4.6122
C 8.9929 -2.3040 3.0620
C 2.5497 1.3478 -3.2062
C 7.8309 -2.4307 2.0945
C 0.6345 5.3880 -5.9106
C 0.2590 -1.0206 3.4617
C -1.1203 5.2427 -7.8448
C -3.3190 5.0888 -6.5809
C -2.2711 -2.9263 2.8435
C -2.7248 -1.7245 -3.0372
C -0.6466 -4.1902 1.5788
C 6.0499 1.8790 2.2958
C -2.6687 5.1225 -8.0119
C -4.7495 -0.6221 -0.3337
└──
Properties=species:S:1:pos:R:3 method="wB97M-V/def2-TZVPD" e_homo_ev="-4.53 / -4.45" charge=-1 e_above_lowest_kj_mol=131.56 total_energy_ha=-5840.2142 homo_lumo_gap_ev="5.229 / 5.790"
Properties=species:S:1:pos:R:3 method="wB97M-V/def2-TZVPD" e_homo_ev=-8.96 charge=+1 total_energy_ha=-4517.4169 homo_lumo_gap_ev=5.371